Mall of Vetis

New Years Fun

Tarra couldn’t help but snicker to herself as she walked into Hot Topic. Brian was standing behind the counter and currently had his shirt off and smelling it.

“Did you venture into Macy’s again today?” She asked him while walking up to him.

“Yes, and every fucking time I’m in there Parker has this urge to snipe me.” He glared at the tee-shirt in his hands.” Tarra started laughing before coming behind the counter to snatch his shirt out of his hands.

“You know this entire Mall has the policy that we’re supposed to report anyone not wearing shoes or Shirts to security and you’re supposed to get dragged out of here. I’m sure Matt, Jeph, Bob, and Dan would have fun coming to actually drag out an employee.” She smirked at him.

“Whatever happened to Christmas spirit?” Brian pouted at her before ringing up a Metallica tee-shirt and tossing it on.

“Didn’t you get the memo, that shit has been over for four days, and Parker is still storming into my office complaining about being made to be Santa in the Christmas Parade. Patrick is back to work and keeps telling her he’s sorry … well at least tries to tell her before she sprays women’s perfume in his face.” Brian started laughing which caused Zack to come in from the back room looking from one of them to the other.

“Did you get tired of being mean to Spencer that you had to come bug Bri?” He asked with a smirk on his face.

“No not really, Spencer keeps threatening to call the owner of Java the Hut on me, and it takes everything Ryan and I can keep in not to tell him that he’d just be calling my cell phone.”

“He still doesn’t know that you’re the Miss. Bratton that owns the shop?” Zacky’s eyes grew wide right before all three of them began to laugh.

“What can I say, I love to pester the guy, that and he’s too cute when he gets mad, then again so does Brian here.” She giggled out before standing on her tiptoes to press her lips to Brian’s cheek. “Anyway, which of you are on break?”

Here the entry breaks off for records of crystals:
____________
No. 1
A plane-wave DFT calculation with PBE was carried out for a geometry-optimized La2Tb3Sm6Ho structure.

Its size of the total moment is 0.00 μB/cell. The total energy comes out at -112.8 eV/cell. As for the volume: 33.70 A^3/atom.

The space group is C2/m (No. 12) and the conventional cell measures 6.280, 10.877 and 12.027 Å, with angles of 90.00, 100.07 and 90.00 degrees. Symmetry generates all atoms from La at (0.000, 0.167, 0.000), Tb at (0.000, 0.000, 0.500), Tb at (0.000, 0.334, 0.500), Sm at (0.247, 0.500, 0.746), Sm at (0.249, 0.166, 0.746) and Ho at (0.000, 0.500, 0.000).

=====

No. 2
A plane-wave DFT calculation with PBE was carried out for a geometry-optimized FeAs2Br structure.

The formation energy without anion corrections is 0.539 eV per atom. Its size of the total moment is 7.04 μB/cell. The value obtained for the distance to the lowest polymorph of the same formula is 569 meV/atom. As for the volume: 22.11 A^3/atom.

The space group is I4/mmm (No. 139) and the conventional cell measures 3.683, 3.683 and 13.039 Å, with angles of 90.00, 90.00 and 90.00 degrees. Symmetry generates all atoms from Fe at (0.000, 0.000, 0.000), As at (0.000, 0.500, 0.250) and Br at (0.000, 0.000, 0.500).

=====

No. 3
A plane-wave DFT calculation with PBE was carried out for a geometry-optimized MnAlRe2 structure.

Its size of the total moment is 0.00 μB/cell. The total energy comes out at -141.8 eV/cell. As for the volume: 15.67 A^3/atom.

The space group is I-42d (No. 122) and the conventional cell measures 7.123, 7.123 and 4.941 Å, with angles of 90.00, 90.00 and 90.00 degrees. Symmetry generates all atoms from Mn at (0.000, 0.000, 0.000), Al at (0.000, 0.000, 0.500) and Re at (0.191, 0.250, 0.125).

=====

No. 4
A plane-wave DFT calculation with PBE was carried out for a geometry-optimized KHg3As structure.

Its size of the total moment is 0.00 μB/cell. The value obtained for the distance to the lowest polymorph of the same formula is 0 meV/atom. As for the volume: 32.76 A^3/atom.

The space group is P1 (No. 1) and the conventional cell measures 6.182, 7.223 and 7.570 Å, with angles of 75.74, 89.22 and 89.76 degrees. Symmetry generates all atoms from K at (0.000, 0.000, 0.000), K at (0.209, 0.587, 0.612), Hg at (0.107, 0.135, 0.454), Hg at (0.271, 0.542, 0.144), Hg at (0.530, 0.002, 0.235), Hg at (0.552, 0.018, 0.714), Hg at (0.697, 0.413, 0.398), Hg at (0.785, 0.551, 0.957), As at (0.462, 0.238, 0.926) and As at (0.707, 0.797, 0.523).

=====

No. 5
A plane-wave DFT calculation with PBE was carried out for a geometry-optimized LiCaMnIr structure.

Its size of the total moment is 17.62 μB/cell. The total energy comes out at -87.8 eV/cell. As for the volume: 17.74 A^3/atom.
____________
So much for the records of crystals:

They both looked down at their watches. Zack groaned to himself and pointed at a smirking Brian.

“Yay me, where to ‘Syn’,” she began tugging him out of the store and into the main area of the mall.
“I say we go bug Jimmy,” Brian smiled down his arm at her before racing off to Journey’s. Upon entering the store Tarra head directly to the counter as Brian began to knock over the display of Converse All Stars.

“It’s Taaarrrraaaa!” Bert’s voice rang out from the front of the store, jumping over the counter to tackle her to the floor. Laughing she pushed him off her the best she could, but he just wrapped himself around her waist and wouldn’t let go. She looked down arms around her to the scruffy face that was inching closer to her face.

“Bert, seriously, your face and arms are in my personal bubble, move them.” He just giggled and licked her face causing her to shove him away and run over to rub her face on Brian’s new shirt.

“What the fuck,” Brain lightly pushed her off him and glared down at her.

“Bert licked me,” she protested.

“So that means you had to come nuzzle your face in my chest to get his spit off you?”

“That’s exactly what it means,” she smirked at him, he just shook his head at her. Just as she wrapped her arms around him, and about to rub more of the spit off her face they heard Jimmy’s loud booming voice.

“Fuck, Brian, what the hell! I just fixed that display from when Matt came in here and did that!” Jimmy’s face was becoming a nice shade of red that was slowly headed toward purple.

“Breath Jimmy Bean,” Bert laughed out. “It’s your break, go do break stuff and I’ll fix it.” Bert shoved all three of them out of the store but not before giving Tarra one last hug and not licking her face.

“So, Jimmy where to? Brian decided to come bug you, I decided to bug him, and now since I don’t really have to back until I want to be, where to?” Jimmy just laughed at her before all intertwining their arms together, which caused Tarra to grab Brain in the same fashion.

Tarra didn’t know when they started skipping until Brendon was Attached to Jimmy’s other arm, and Gabe to Brian and both belting out that they were ‘off to see the wizard’, needless to say but the two bigger guys turned their death glares to the scrawnier two causing them to run away.

They ended their trip together at the Food court all ordering from Subway and thankfully not getting dirty looks from frank considering that Mikey was the only one behind the counter. Tarra pouted for the fact that Frank would have had no problem with her order of a Veggie sub, but would have glared at both Jimmy and Brian for their orders, and she has such a huge thing for Frank’s Bitch face, it happened to be the only reason as to why she dated him when she first opened her shop. What’s left to say there, they ended the relationship on good terms and it had to do with the fact that he wouldn’t do his bitch face for her too often; falling for someone does that to a person, and yeah Tarra kind of has a problem with commitment.

“So, want to skip going back to work and just hang out with Zacky and me?” Brian asked turning from Jimmy to Tarra, with an eyebrow raised.

“Being ‘boss lady’ as Jimmy so lovely puts it, I can skip it, but I’m sure Heaven will be stopping by to see me so that we can finish figuring out how we’re going to this whole New year’s party.” She sighed out.

“Are you getting a hall this year or are we partying in Macy’s like we did last year?” Jimmy asked scooting his chair closer to hers.

“And risk having to clean the entire store again? Hell no, you’re effing crazy when your drunk and I seriously don’t want to try and coax you out of the rafters like I did last year.” At this Brian began laughing and they both began relying stories of what Jimmy had done, considering that Brian had showed up late, even though he was just invited that Day since he and Zacky had only began working there that day.

Ten stories and three cups of lemonade later, Tarra was headed off to empty her bladder before making her way toward Java the Hut.

“Where the hell have you been?” Spencer snapped at her as soon as she entered the shop.

“I went to out, do you mind, it was my break time.”

“You barely do anything here as it is!” He glared at her. Ryan was smirking behind him as he was making a milk based drink for the teenager at the counter.

“Oh blow me Smith, I run this damn place not you, how would you like to have to do inventory every night? I hate math, why the hell did I decided to do this anyway.” She mumbled to herself slowly making her way behind the counter to get to her office.

“I bet you ten bucks that I could do your job and you could do mine.” Right at that moment Heaven entered the store and began laughing.

“Give it up Spencer; you lost that bet three weeks after you started here. Tarra actually broke the espresso machine, just by trying to turn it on; and you forgot to sign the forms to get more supplies which forced this place to shut down for three days so that Tarra could get everything back into order.” Ryan couldn’t hold in his laughter anymore and the sound of it not only caused Heaven to laugh, but a blush rose to her Cheeks and Tarra could bet her entire place of business that she was going to be found in some corner making out with either Gabe, Alex, or even Adam this time. She loved her best friend but she was seriously thinking about hitting her in the head with a coffee pot already.

Then again, maybe it’s Ryan that needed the coffee pot treatment for being so oblivious to her flirting. Shaking her head Tarra moved into her office and took a seat on the love seat that she had in there. She felt like curling up and just taking a nap, but that thought was ruined when her office door slammed open and then shut again.

Heaven and Nicole’s face peering down at her with smirks on their faces.

“Nicole found a hall,” Heaven stated in a sing song voice. Tarra cocked her head as she looked from one of them to the next, before a smiled appeared on her face.

“Oh really now?”

“Yes really,” Nicole smirked before pulling out a piece of paper from her black jeans. “It’s about four hundred, but it’s big enough for us all, and all we have to do is invite everyone and we get the keys the night before to set everything up.”

“Well, who’s off on the thirtieth to decorate, I mean I can go, but who else is going to?”

“Gabe’s off,” Nicole smirked as she noticed the shudder than ran through her friend.

“That’s the last thing that we need is for Gabe to help decorate.” Tarra rolled her eyes and looked over at Heaven.

“Don’t look at me, I’m working the night of too, I’m only taking the first off.”

“I’m closed new years day,” Tarra smirked up at her that’s when something popped in her head.

“Why don’t it just be Us girls, I mean seriously can we actually trust any of the guys in this Mall to help us without goofing off.

“Well there is JephA, and Matt they both can be serious when the time calls for it.” Heaven stated shrugging her shoulders. Tarra couldn’t help but sigh and nod her head.

“Fine, but just whoever else besides the two of them and myself, I think we can just go in after the Mall closes too and finish,” she shrugged her shoulders. A knock came from her door causing all three of them to turn their heads and glare at Spencer who now stood in her office.

“Uh, it’s closing time, and Ryan’s singing.”

“Am I supposed to glue or tape his mouth shut or something?” Tarra asked looking at him like he was crazy.

“You super glued mine when I sang,” He glared at her.

“That’s because you suck,” She stated before standing up from the couch to shove him out of her office, Nicole and Heaven both leaving the room to get back to work so that they can close up for the night.


Two days later found Tarra standing at the foot of a ladder as Brian stood on the tip top putting the disco ball, that jimmy claimed they had to have this year, up.

“Heaven’s going to complain about the fact that we spent more time trying to get the damn Disco Ball up than actually decorating you know that?” Tarra shouted up the ladder to him. He just started laughing before looking down at her.

“Well I got it up, that’s all that matters. What the hell’s the theme anyway? And did you know I can see down your shirt from up here.” Tarra glared up at him, hit him in his legs, and then fixed the white shirt she had on under the corset top she was wearing. As soon as Brian showed up he stole the white fedora she had on her head.

“No theme, just a shit ton of balloons and streamers,” Parker said shrugging her shoulders as she filled yet another balloon with helium.

The only people that had off where the three of them and Gabe, who in fact was blowing up balloons with his own hot air, just to because he said that people needed to have balloons to kick around. He also came up with the net in the center of the room that he was going to fill with them so that they’ll fall on everyone exactly at midnight when someone pulled the cord. Though Tarra didn’t even think that was going to happen considering Gabe would more or less pull it as soon as he got drunk.

“So, what now?” Brian asked looking around the room seeing that Parker and Gabe where focused on the Balloons.

“Streamers!” Tarra squealed running over to the bags she had in the corner.

“I think she likes New Years more than Christmas,” Gabe mumbled around the mouth of a black balloon. This caused them all to laugh.

“Oh she does, did you see all the black that she wore all though Christmas time?” Brain asked shoving Tarra a little bit as they were sitting next to each other opening all the Black, red, and white streamers.

It wasn’t long before the entire hall was decorated just the four of them doing it, well mainly Tarra and Brian while Parker and Gabe focused on getting all the balloons done and watched them flirt with one another.

“So it looks like a party is going to happen here finally.”

**Unrelated to this article: data records**
____________
## Ba8Sb3SI4 (GGA-PBE)

Data for a relaxed Ba8Sb3SI4 crystal. Values from VASP.

Structure (Quantum ESPRESSO input):
```
&SYSTEM
  ibrav = 0, nat = 16, ntyp = 4
/
ATOMIC_SPECIES
Ba 137.33 Ba.upf
Sb 121.76 Sb.upf
S 32.06 S.upf
I 126.90 I.upf
ATOMIC_POSITIONS angstrom
Ba -2.552 2.342 6.975
Ba 0.000 4.891 3.369
Ba 0.000 0.231 3.682
Ba 2.552 2.342 6.975
Ba 2.425 2.802 0.175
Ba 4.977 4.912 3.468
Ba 4.977 0.253 3.782
Ba 7.529 2.802 0.175
Sb 4.977 5.058 0.054
Sb 2.489 2.572 3.575
Sb -2.489 2.572 3.575
S 0.000 5.058 0.054
I 4.977 0.000 0.000
I 2.489 -2.487 3.521
I 0.000 0.000 0.000
I -2.489 -2.487 3.521
CELL_PARAMETERS angstrom
9.954 0.000 0.000
0.000 10.117 0.109
-4.977 -4.973 7.042
```

Computed properties:
The energy relative to the elements, uncorrected is -1475 meV per atom.
____________
**Back to the article**

“Who’s doing music?” Brian asked as he helped Tarra down from the chair she was standing on to get the last of the streamers up.

“Gerard and ray decided that they would take turns, everyone is supposed to bring their CDs and as long as the cases had our names on them, no one would end up with anyone else’s.” Parker stated as she gathered up all of her stuff. Gabe nodded his head agreeing with her as started to pack away the now empty helium tank.

“So I guess I’ll see you all at work tomorrow, and then back here after everything,” Tarra stated as she tossed the empty bags in the trash can by the doors and walked out them to get into her car to make her way on to her and Heaven’s house to hear about the day that Heaven had.


Tarra sighed as she flattened out her skirt, she had no idea why she decided to stay open today, all she wanted to do was go home and take a nap before having to get ready for the party later. Sighing she unlocked the gate and opened shop, she had to hurry up and make as many brownies as possible today since she promised Heaven that she’d make brownies instead of little cakes today. First thing was first and out came the bagels. Ryan smiled at her as she put the last bagel out in the display case. She hated getting this all out in the mornings.

“Off to bake now?” he smirked at her.

“Shuddup Ross, you know you love her baking as much as the rest of us.” Heaven stated, she was walking in with Gerard, Mikey, and Frank. Ryan just snorted before starting up all the water and machines to get the coffee going before the four people in front of him decided it would be better if he was dead.

“So, party tonight?” Ryan asked as he looked from one person to the next. All they did was grunt and nod their heads as he handed over their bagels, and coffee. Soon He was left with Tarra singing ‘The Bear Necessities’ The only thing that he could think was that she must have spent too much time hanging out with Brendon, that or her and Heaven watch too much Disney in their free time.


Tarra shook out her hair as she and Heaven stepped out of Heaven’s car. She could already hear the sounds of Led Zeppelin coming from the Hall. Heaven had two bags in her hands most likely all the alcohol, leaving her with the two cases of Coke and four plastic bags of snacks.

“Need any help?” Brian’s voice came from behind her as she glared at Heaven’s retreating form. Though she had to admit that she had the right idea with wearing legging under her dress while Tarra had opted out of doing so.

“That’d be awesome, considering I’m freezing my arse off and want to get inside,” She stated as she handing him the cases of Coke, and grabbed up the bags of food, before shutting and locking up her car. “Did you just get here?”

“Yeah, I came with Matt, Johnny, Jimmy, and Zack. Matt’s going to D and D.”

“I’m d and d this year,” She smiled up at him as she opened the door, Nicole was standing next to William and Adam, looking shorter than her five foot four frame really was, as Parker was having a heated conversation with Ryland, and the only word that Tarra could make out was ‘delicious’. Nell was running away from Bert as he kept claiming that she just looked like she needed a hug. Tarra looked around the hall some more before heading over to the table with all the food on it and dropping the bags on it. Spinning around she decided the hell with it, Gerard could drive her car home, besides he lived in the same neighborhood as her and Heaven. She grabbed herself a cup and filled it up with some spiced rum and grabbed a coke to mix it with.

Three hours later found her cuddled next to Spencer in a corner as she relayed the fact that she was in fact the owner of Java the Hut, she didn’t think he was going to remember it in the morning, but the shocked look on his face was worth telling him.

“Hey everyone!” Gabe’s voice sounded from the corner. “Count down is now!”

Gerard stopped the music, and everyone in the room stated counting down from ten.

William leaned over and kissed Nicole, Brendon grabbed the nearest person to him and kissed her, and in Tarra’s foggy mind she was pretty sure it was Nell. Parker was pushing both Ryland and Gabe away from her as Heaven did the one thing no one was really thinking she’d do. She had Ryan in a chair straddling his lap and feeding at his mouth. Though he didn’t look like he was complaining. That’s when she felt the soft lips on hers.

Tarra closed her eyes and leaned into the man in front of her. Her arms wrapped around him, only after she pulled out of the kiss did she realize that she had just kissed Brian. He smiled down at her before quickly being pulled away by Matt, telling him it was time to go.

Tarra could still taste the Heineken that he was drinking as she was yet again pulled into another kiss, this time as she wrapped her arms around him, she realized that it wasn’t Brian, for the body pressed into hers was softer than Brain’s muscle toned chest, and his hair was shorter.

Spencer slowly pulled out of the kiss before looking her in the eyes, and running off.

Tarra stood there stunned and didn’t even protest with Bert and Adam kissed her. She just couldn’t get the taste of either man out of her head, and the bad thing about that was … She’s not even all that drunk and knew for a fact that she’d remember it in the morning, and she also knew that Brian would remember it in the morning. Matt had kept an eye on him and Jimmy and cut them both off after eight beers.

Working on the second was going to be hell.
♠ ♠ ♠
So ..... there's new years ... what's going to happen now ... Not up to me ... it's up to Nicole ....